File
'''
Molecular formula: C41H64ClN4O4SSiTi
Method: DFT, ωB97M-V/def2-TZVPD

Each line ends with the Mulliken charge.
CARTESIAN COORDINATES (ANGSTROEM)
1 C 1.00026 2.00712 -2.91313  3.143
2 C -1.26094 -4.35777 0.60034  -1.555
3 C 1.78062 -1.58803 -3.01624  -1.654
4 H 1.17290 2.84588 -0.91208  0.292
5 H 7.19444 -0.59341 -3.30351  0.421
6 C -0.60240 -2.23768 -3.00203  -1.858
7 H -5.35769 -1.82117 0.26718  0.206
8 C -2.87342 0.13248 1.31285  -0.342
9 H -4.61457 -2.15939 -1.87766  0.234
10 C 6.07272 1.66131 -1.04340  -0.648
11 H -2.66492 0.50666 -3.10044  0.680
12 H 1.92740 -1.58346 -1.93534  -0.157
13 H -0.30452 3.09792 -4.30715  0.360
14 H -3.66438 -3.41236 2.89494  0.335
15 N 4.08123 1.53681 0.36565  0.376
16 H -5.74727 -0.21809 0.87769  0.293
17 H -4.04701 1.65741 -1.94499  0.047
18 O 0.05068 1.17289 0.67752  0.956
19 H -5.35467 1.60051 1.52440  0.338
20 H -0.36387 -3.16706 -3.52739  0.657
21 H -0.84656 -4.54349 3.29906  0.559
22 H 0.94956 0.51277 4.74791  0.389
23 H -2.65953 1.03136 3.99773  0.392
24 H -3.11644 -5.03590 2.46511  0.487
25 H -5.13629 -0.79439 -2.84461  0.494
26 C 0.37412 -1.13395 -3.42455  2.583
27 H 7.75011 1.62053 -2.36533  0.403
28 H 2.56098 -0.96944 -3.45491  0.364
29 C 3.39053 -1.72330 3.80709  -0.854
30 H -4.82015 2.46370 2.95259  0.562
31 H -3.89092 -4.01348 1.25036  0.283
32 C 6.56407 -0.15554 -2.54352  -0.620
33 C 1.33325 -0.44602 4.40537  -0.746
34 C 4.35386 2.23755 1.49250  0.351
35 H -1.10396 -5.36329 0.99222  0.497
36 H 3.26000 0.41035 4.03424  -0.211
37 H -1.95429 -4.44318 -0.23590  0.316
38 H -2.54318 2.72857 3.57150  0.500
39 H -3.42325 -1.12221 -2.63692  0.278
40 C -5.57294 -0.79224 -0.02400  -1.507
41 H 2.77569 1.10583 -3.80098  0.332
42 C -4.42736 -0.22125 -0.88278  1.631
43 H -0.30546 -3.99165 0.22441  0.119
44 H 1.06316 -0.29581 -5.32470  0.348
45 H -2.75908 -2.42541 -0.82369  0.733
46 H -6.49497 -0.79385 -0.60731  0.475
47 H 3.14816 -0.48416 5.54522  0.499
48 H 4.04978 4.63105 2.92579  0.406
49 H 1.21992 4.03615 -2.19721  0.658
50 C 5.43047 -0.82951 -2.10950  -0.765
51 H 6.29613 2.64433 -0.65688  0.506
52 C 1.61895 -1.32534 2.12740  0.245
53 N 0.92659 -0.61981 3.00941  0.927
54 C -3.19096 1.50027 1.92507  1.801
55 O 3.56538 4.31340 3.70001  -0.499
56 H -0.31733 3.31949 -1.73274  0.228
57 H -1.72053 1.09784 -4.45328  0.484
58 C -2.22582 -0.88970 2.03879  -1.074
59 H -1.85467 2.98070 1.05144  -0.161
60 C 0.34058 -1.02144 -4.95268  -1.777
61 H 3.71163 -0.75823 -0.81258  0.384
62 C 2.49048 1.66209 -2.90768  -2.211
63 H -3.06963 2.39161 -0.08464  0.137
64 C -2.58679 -1.71599 -0.03047  -1.196
65 H 1.94135 -2.61231 -3.36652  0.562
66 O 2.20993 2.64583 4.23648  -0.451
67 C 0.74450 3.10595 -1.87421  -1.873
68 H 3.26727 -2.39082 1.77605  0.311
69 N 2.75860 1.39061 0.20346  0.465
70 Ti -0.87114 -0.14275 -0.08933  -0.941
71 H 1.41503 3.38347 -4.51279  0.570
72 H -3.52303 3.51068 1.19289  0.523
73 C -3.21319 -4.01115 2.10381  -1.713
74 C 0.66952 2.61491 -4.28962  -1.958
75 C -4.38262 -1.12488 -2.13012  -1.743
76 C 2.19278 2.00093 1.22751  -1.098
77 C 2.84763 -0.48548 4.49878  -0.151
78 H -1.99592 -0.83661 3.09071  1.019
79 C 3.15293 2.57541 2.08504  0.101
80 H 0.60008 -1.98829 -5.39332  0.508
81 H -1.29699 1.63140 3.02151  0.024
82 H -0.64279 -0.74679 -5.33155  0.323
83 H -5.72972 1.15161 -1.87515  0.676
84 H -1.64167 -1.99407 -3.22756  0.405
85 C 6.88027 1.08569 -2.01291  -0.898
86 H -1.33882 -2.92442 3.76374  0.317
87 O 0.18746 3.06222 1.88105  -0.655
88 H 0.88705 -1.24471 5.00574  0.418
89 S 1.03385 -1.73098 0.56397  -0.808
90 H 0.69920 1.88978 -5.10164  0.337
91 H 3.16419 -2.62893 4.37551  0.289
92 C -2.09612 -2.05190 1.24029  2.545
93 C -0.92623 -3.51450 2.94605  -1.544
94 C 0.72063 2.15098 1.31837  0.088
95 H -4.93042 0.70230 2.98480  0.328
96 H 3.07348 2.58860 -2.91137  0.635
97 C -1.82426 -3.46733 1.70904  1.437
98 Si -0.18044 0.51209 -2.58571  -0.150
99 N 2.80646 -1.82563 2.47180  -0.006
100 C 4.96232 0.96299 -0.60353  0.333
101 C -3.14372 -0.39378 -0.01920  0.888
'''

Job
What is needed: filter the calculation results further up: keep the lines with the word "CARTESIAN".

Solution
CARTESIAN COORDINATES (ANGSTROEM)